Training of Local Guides in Phobjikha

local-guide-trainingA total of 9 local guides were trained in Phobjikha from 4th to 9th and 21st to 24 May 2013 under the community-based sustainable tourism project. The training was conducted by Mr. Masanori Shintani, a well-known international ecotourism interpretive trainer from Japan.

During the training the local guides were taught about the simple understanding of what ecotourism or community-based sustainable tourism is, and how being a good interpretive guide can add value to the tourist experience of a particular area.

**Between two parts of the piece: records of molecules**
____________
[1]
{"formula": "C16H34As3NO8P2Sc", "method": "the ωB97M-V functional and the def2-TZVPD basis", "symbols": ["Sc", "C", "As", "C", "C", "C", "C", "C", "As", "C", "C", "C", "As", "C", "C", "H", "H", "H", "H", "H", "H", "H", "H", "H", "H", "H", "H", "H", "H", "H", "H", "H", "H", "H", "H", "H", "H", "H", "H", "H", "H", "H", "O", "P", "O", "O", "O", "P", "O", "O", "O", "H", "H", "O", "N", "C", "C", "C", "C", "C", "H", "H", "H", "H", "H"], "xyz": [[2.162, 1.281, -0.216], [1.990, -2.648, 1.184], [1.754, -0.780, 1.594], [2.847, -0.681, 3.196], [0.026, -0.819, 2.515], [-1.276, -0.750, 1.689], [-1.150, -1.623, 0.432], [-1.604, 0.712, 1.336], [-0.523, 1.642, 0.013], [-1.326, 3.390, 0.210], [-1.402, 1.110, -1.630], [-2.384, -1.277, 2.637], [-4.273, -1.700, 2.176], [-4.044, -3.463, 1.350], [-4.724, -0.726, 0.533], [1.729, -3.231, 2.063], [3.034, -2.811, 0.929], [1.375, -2.943, 0.337], [2.499, -1.410, 3.923], [2.794, 0.324, 3.609], [3.883, -0.886, 2.937], [0.059, -0.003, 3.240], [0.055, -1.747, 3.085], [-0.309, -1.317, -0.194], [-2.042, -1.566, -0.187], [-0.997, -2.671, 0.703], [-1.562, 1.322, 2.239], [-2.607, 0.788, 0.944], [-2.401, 3.287, 0.108], [-0.939, 4.044, -0.567], [-1.082, 3.808, 1.183], [-2.476, 1.208, -1.494], [-1.143, 0.091, -1.907], [-1.066, 1.771, -2.428], [-2.458, -0.596, 3.488], [-2.060, -2.234, 3.059], [-3.498, -4.111, 2.037], [-3.518, -3.421, 0.400], [-5.031, -3.894, 1.190], [-4.850, 0.337, 0.737], [-5.691, -1.122, 0.220], [-4.013, -0.868, -0.279], [4.196, 1.601, -1.184], [3.669, 3.137, -1.479], [4.418, 3.779, -2.542], [2.172, 2.822, -1.533], [3.933, 3.832, -0.039], [3.218, 3.461, 1.385], [1.671, 3.815, 1.107], [3.767, 4.243, 2.482], [3.142, 1.920, 1.405], [5.157, 1.577, -1.270], [1.499, 4.741, 1.320], [1.705, -0.216, -1.417], [1.328, -0.560, -2.671], [1.276, 0.390, -3.692], [0.731, 0.040, -4.886], [0.207, -1.259, -5.114], [0.288, -2.190, -4.048], [0.834, -1.851, -2.852], [1.685, 1.361, -3.465], [0.714, 0.790, -5.667], [-0.222, -1.532, -6.066], [-0.078, -3.202, -4.166], [0.936, -2.512, -2.006]], "largest_force_ev_per_a": 2.3, "charge": 0, "multiplicity": 2, "orbital_gap_ha": [0.1921, 0.3220], "total_energy_ev": -256815.572}

=====

[2]
____________
**The piece goes on**

Local guide participantsDuring the training period the participants were given class room training comprising lectures, presentations on case studies from elsewhere, having participatory activities like resource finding and developing tour package and then they were given field based training of being a guide.

The training was based on the training manual book “Interpretive Methods for Community-Based Ecotourism-A Training Manual for Guides and Community Members”  co-authored by Mr. Masanori Shintani, Ms. Lisa Brochu and Dr. Tim Merriman. Both the classroom and the field practice consisted of the following lessons:

  1. Understanding global issues of tourism
  2. Understanding ecotourism and community-based ecotourism
  3. Understanding local issues and benefits of tourism
  4. Creating quality visitor experiences by:
  5. Decision Point: Understanding that a visitor chooses to visit a place or a travel agent chooses to send their guest to a particular place. Then how a guide or community member can help make them decide by providing clear information of the place like what can be seen and done, prices and optional expenses, etc…
  6. Entry Experience: Traditional greeting with respect,  guest orientation, place orientation (use maps and signs).
  7. Making Connections: Sharing personal and non-personal experiences interpretation sticking to the tour theme, developing local programs with demonstration of local authentic activities, let guests participate in activities for experience. Example video of a visitor experiencing wool shearing and making a wool glove for himself in Mongolia, a family visitor experiencing local cuisine in Malaysia.
  8. Exit Experience: giving visitor opportunities to think about their visit as they leave (through good experience, local made souvenirs, suggesting websites or books)
  9. Commitment phase: Interpretation is the key to encourage the visitors to support the local community. For some influence of interpretation can lead to: extended stays, repeat visit, recommendation to others, purchase of local products, volunteerism, donation, etc..
  11. Interpretation as the key to a successful tour: sharing experiences and local knowledge and ways to make people appreciate about the local resources.
  12. Delivering interpretive communication: how interpretation should be and should not be.
  13. How interpretation will bring benefit: understanding the local beliefs and how conservation of the natural and cultural resources will bring benefit.
  14. Interpretation is engaging: understand visitors pay for interpretive experience with money and time. Those experiences should be worth and therefore it is advise for a guides to develop a things to do list to remain prepared for a good tour.
  15. Interpretation conveys message: Creating a tour program which has a good meaningful flow of the program.
  16. Interpretation relating to an individual: most people has no experience with a local culture, therefore they need to understand things in more simpler ways. It can be done by talking about universal concepts such as family, food preparation, and festivals, so the visitors can understand as these are also things that will also be in their own culture.
  17. Explaining about local resource use

  18. Customer service
  19. Addressing to visitor needs
  20. Keeping the visitor motivated
  21. Learning about the visitor: understand what motivates them and their interest.
  22. Learning about the subject: having knowledge about the local information
  23. Informal interpretation: conversation with visitor, invite them to ask questions, comparison to help them understand.
  24. Preparing program content/ package: title, theme, time, locations, background, materials needed, conclusion
  25. What to plan ahead.
  26. Sharing experiences through souvenirs, music, games and local skills
  27. Preparing a personal checklist by individual guides
  28. The Health Assistant of the Basic Health Unit in Phobjikha also gave a basic training on how to attend to simple emergency First Aid needs of a visitor in case of an accident during a tour. The first aid focused on treating minor wounds, control bleeding, taking care of fractures, etc.